## Work order
Write out the lines below from the one with "0.434" to the one with "7.069" without additions.
## Excerpt
____________
1.
Molecular formula: H8O4
Method: DFT, ωB97M-V with the def2-TZVPD basis set

Last column: Mulliken charge in e.
Atoms and positions in Å:
O  10.529  3.537  -0.794  -0.609
H  10.090  3.905  -0.028  0.292
H  10.648  4.281  -1.384  0.352
O  9.121  3.182  -4.030  -0.623
H  8.363  3.473  -4.537  0.307
H  9.454  3.978  -3.616  0.315
O  9.427  7.514  -0.943  -0.675
H  8.961  7.573  -0.110  0.313
H  10.264  7.950  -0.781  0.327
O  11.298  5.856  -2.486  -0.672
H  11.967  6.444  -2.837  0.296
H  10.681  6.433  -2.038  0.377

highest occupied orbital energy = -10.835 eV
SMILES = O.O.O.O
lowest unoccupied orbital energy = 0.14 eV
net charge = 0
energy = -305.74363 Eh
energy relative to the best compared isomer or geometry (same formula, charge and spin) = 93.4 kJ/mol

***

2.
Molecular formula: C18H24N2O3PtS
Method: DFT, ωB97M-V with the def2-TZVPD basis set

Last column: Mulliken charge in e.
Atoms and positions in Å:
Pt  0.273  0.120  1.066  0.858
C  2.288  -2.705  2.115  -1.653
C  1.139  -1.806  2.432  0.830
C  1.364  -0.511  2.981  -0.585
C  0.294  0.334  3.337  -0.316
C  -1.023  -0.074  3.045  -0.552
C  -1.254  -1.363  2.509  -0.379
C  -0.193  -2.229  2.247  -0.506
H  2.503  -3.320  2.994  0.371
H  3.189  -2.141  1.880  0.414
H  2.057  -3.377  1.291  0.391
H  2.383  -0.190  3.158  0.540
H  0.483  1.292  3.800  0.626
H  -1.857  0.581  3.261  0.461
H  -2.270  -1.674  2.301  0.435
H  -0.388  -3.216  1.845  0.516
O  -3.582  -5.000  -0.909  -0.516
C  -3.334  -4.690  -2.265  -0.433
N  -2.643  -3.422  -2.250  -0.217
C  -1.495  -3.196  -2.929  0.273
O  -0.977  -3.955  -3.715  -0.578
C  -0.796  -1.897  -2.600  0.388
C  -0.102  -1.217  -3.596  -0.320
C  0.606  -0.077  -3.261  -0.818
C  0.647  0.329  -1.940  -0.068
N  0.011  -0.351  -0.972  -0.338
C  -0.709  -1.438  -1.305  -0.381
H  -4.243  -5.699  -0.860  0.320
H  -4.268  -4.613  -2.827  0.350
H  -2.675  -5.410  -2.750  0.332
H  -3.104  -2.663  -1.777  0.283
H  -0.123  -1.599  -4.609  0.518
H  1.144  0.490  -4.007  0.440
H  1.195  1.205  -1.629  0.494
H  -1.201  -1.964  -0.498  0.712
O  0.714  2.163  0.347  -0.626
S  0.885  3.365  1.327  0.368
C  2.422  4.163  0.764  -0.621
C  2.037  5.510  0.149  -0.618
C  0.648  5.329  -0.456  -0.519
C  -0.170  4.656  0.638  -0.779
H  2.813  3.460  0.027  0.312
H  3.114  4.228  1.602  0.434
H  2.780  5.810  -0.588  0.338
H  2.012  6.280  0.921  0.327
H  0.689  4.693  -1.342  0.252
H  0.196  6.276  -0.746  0.397
H  -1.096  4.173  0.327  0.388
H  -0.383  5.337  1.465  0.458

highest occupied orbital energy (spin up / spin down) = -14.689 / -14.697 eV
lowest unoccupied orbital energy (spin up / spin down) = -6.20 / -8.74 eV
net charge = +2
energy = -1552.43195 Eh
energy relative to the best compared isomer or geometry (same formula, charge and spin) = 2.5 kJ/mol
multiplicity = 3
expectation value of S² = 2.01

***

3.
Molecular formula: C46H41ClF9FeN3O4PS
Method: DFT, ωB97M-V with the def2-TZVPD basis set

Last column: Mulliken charge in e.
Atoms and positions in Å:
Fe  -0.503  1.947  0.968  0.588
O  -2.454  3.079  -3.179  -0.645
Cl  -1.718  3.577  -2.082  1.703
O  -0.361  3.161  -2.145  -0.486
O  -1.834  4.959  -1.926  -0.669
O  -2.320  2.876  -0.826  -0.733
C  -1.070  -4.836  2.024  -1.903
C  -2.305  -4.198  1.419  2.123
C  -2.482  -4.738  -0.030  -1.635
C  -3.582  -4.592  2.199  -1.743
C  -2.116  -2.632  1.411  0.057
C  -2.827  -1.764  0.572  -0.204
C  -2.511  -0.404  0.503  -0.921
N  -1.488  0.130  1.188  -0.322
C  -0.906  -0.672  2.167  0.205
C  -1.223  -2.013  2.301  0.010
C  0.073  0.071  2.949  -0.328
C  0.364  -0.228  4.280  -0.496
C  1.357  0.494  4.939  0.190
C  2.248  1.192  4.119  -0.823
C  1.923  1.419  2.792  -0.989
N  0.740  1.049  2.272  0.591
C  1.455  0.684  6.451  1.909
C  0.217  -0.012  7.069  -2.058
C  1.425  2.186  6.773  -1.646
C  2.777  0.041  7.033  -1.517
H  -1.046  -5.898  1.752  0.458
H  -1.133  -4.791  3.114  0.368
H  -0.132  -4.346  1.686  0.304
H  -2.625  -5.807  0.051  0.533
H  -1.657  -4.558  -0.721  0.271
____________
## Outcome
H  3.114  4.228  1.602  0.434
H  2.780  5.810  -0.588  0.338
H  2.012  6.280  0.921  0.327
H  0.689  4.693  -1.342  0.252
H  0.196  6.276  -0.746  0.397
H  -1.096  4.173  0.327  0.388
H  -0.383  5.337  1.465  0.458

highest occupied orbital energy (spin up / spin down) = -14.689 / -14.697 eV
lowest unoccupied orbital energy (spin up / spin down) = -6.20 / -8.74 eV
net charge = +2
energy = -1552.43195 Eh
energy relative to the best compared isomer or geometry (same formula, charge and spin) = 2.5 kJ/mol
multiplicity = 3
expectation value of S² = 2.01

***

3.
Molecular formula: C46H41ClF9FeN3O4PS
Method: DFT, ωB97M-V with the def2-TZVPD basis set

Last column: Mulliken charge in e.
Atoms and positions in Å:
Fe  -0.503  1.947  0.968  0.588
O  -2.454  3.079  -3.179  -0.645
Cl  -1.718  3.577  -2.082  1.703
O  -0.361  3.161  -2.145  -0.486
O  -1.834  4.959  -1.926  -0.669
O  -2.320  2.876  -0.826  -0.733
C  -1.070  -4.836  2.024  -1.903
C  -2.305  -4.198  1.419  2.123
C  -2.482  -4.738  -0.030  -1.635
C  -3.582  -4.592  2.199  -1.743
C  -2.116  -2.632  1.411  0.057
C  -2.827  -1.764  0.572  -0.204
C  -2.511  -0.404  0.503  -0.921
N  -1.488  0.130  1.188  -0.322
C  -0.906  -0.672  2.167  0.205
C  -1.223  -2.013  2.301  0.010
C  0.073  0.071  2.949  -0.328
C  0.364  -0.228  4.280  -0.496
C  1.357  0.494  4.939  0.190
C  2.248  1.192  4.119  -0.823
C  1.923  1.419  2.792  -0.989
N  0.740  1.049  2.272  0.591
C  1.455  0.684  6.451  1.909
C  0.217  -0.012  7.069  -2.058